Three candidates will seek two open seats on Princeton Council

A three-way race is shaping up among Princeton Democrats for two open Princeton Council seats.

Incumbent Princeton Council members David Cohen and Leticia Fraga have announced that they are each running for re-election. They are being challenged by Dina Shaw. The three Democrats will square off in the June 2 Democratic Party primary.

Cohen, who is seeking his second, three-year term, said he is running for re-election because many of the issues facing the town are issues on which he has the most to offer.

Cohen reeled off a list of those issues – implementing the town’s recently adopted Climate Action Plan and working to improve the town’s land use policies to encourage “smart growth” and more sustainable development.

Other issues on which he has focused are advocating for the senior citizens through his liaison work with the Princeton Senior Resource Center and participating in the town’s affordable housing negotiations.

“I served as the Princeton Council liaison to the steering committee for the Climate Action Plan, and I have already been working on implementing the recommendations in the plan, such as community solar and renewal energy aggregation,” he said.

“There is still much to be done, and I don’t want to leave in midstream. This is the core of what I want to focus on in my second term – coaxing Princeton toward a more sustainable, livable version of itself,” he said.

Cohen said he also believes some continuity in government is essential for smooth functioning, and that is another reason why he has chosen to seek re-election. There has been “enormous turnover” on the council, he said.

With one term under his belt, Cohen he is one of the two senior members on Princeton Council – with the exception of Mayor Liz Lempert, who is completing her third four-year term as mayor.

“There is an enormous amount of information to be mastered if one is to serve effectively, and I feel I am just beginning to get a handle on how best to work collaboratively with staff and fellow elected officials to get things done,” Cohen said.

“I think it would be a shame to waste that hard-earned experience, and a disservice to the town, by squandering it by serving a single term,” he said.

Fraga is also seeking a second term on the council. She is the first Latinx to serve on the Princeton Council. Her family immigrated to Washington State from Mexico when she was 12 years old.

Fraga is the council’s liaison to the Civil Rights Commission, the Human Services Commission, the Youth Advisory Committee and the Board of Health. She is also the police commissioner.

• Inserted here: molecular data:
# 1
ORCA calculation (wB97M-V/def2-TZVPD) on a 2-piece molecular cluster, C6H14NO overall at a distorted geometry.

* HOMO-LUMO gap: 5.2 eV
* LUMO level: -8.7 eV
* electronic energy: -366.46840 a.u.
* net charge: +1

```
22
C6H14NO, DFT wB97M-V/def2-TZVPD
O 1.0517 1.2648 0.0135
N -0.3891 2.4409 -1.8634
C 0.0034 -1.2460 -0.5782
C -1.1689 0.8061 0.4098
C -1.2981 -0.3542 -0.5716
C 0.0151 1.4626 0.7380
C 0.8987 -1.6609 1.7012
C 1.2704 -1.2455 0.2607
H 0.1432 2.4684 -0.9237
H 0.3640 2.1250 -2.5204
H 1.3890 -0.9906 2.4759
H -1.1664 2.3702 -1.2349
H -1.4803 -0.0113 -1.5903
H 1.0987 -2.6966 1.9697
H -0.4718 -2.2317 -0.7040
H 1.8745 -0.2941 0.3778
H -2.1219 -0.9810 -0.2059
H -2.1256 1.1650 0.7309
H -0.1632 -1.4014 1.7428
H 0.3999 -1.0037 -1.5611
H 1.7543 -2.0877 -0.2702
H 0.1226 2.1017 1.6032
```

***

# 2
ORCA calculation (wB97M-V/def2-TZVPD) on C30H30F6N3O3 as an isolated structure at a distorted geometry.

* HOMO-LUMO gap: 7.9 eV
* LUMO level: -3.1 eV
* electronic energy: -2150.16962 a.u.
* net charge: +1

```
72
C30H30F6N3O3, DFT wB97M-V/def2-TZVPD
F -6.3235 -2.1464 -4.3636
F -2.6005 1.4419 -8.0991
F -5.2782 -2.0313 -2.4298
F -2.0706 -0.6954 -8.0084
F -4.1545 -0.0899 -8.4003
F -4.4701 -3.2979 -4.0377
O 3.3681 0.0666 7.1078
O -2.1996 0.6826 -1.1817
O -1.6643 -3.8720 -0.7061
N 1.2794 1.5231 1.3383
N -1.2660 2.7572 -1.2112
N -2.3622 1.9966 -3.1062
C 5.2413 0.4354 5.6077
C 0.6100 -2.4974 1.8488
C -0.3131 -3.3754 1.2796
C 2.3286 2.5077 1.7949
C 4.0062 -0.0040 4.8694
C 1.7724 3.0748 -0.4731
C 2.9300 3.0732 0.5162
C -2.5502 -4.7144 0.0636
C 0.7662 2.0152 -0.0084
C -1.9712 1.7291 -1.7902
C 3.6914 -0.1326 3.5164
C -3.0368 0.2227 -7.6702
C -2.8240 1.1925 -5.3466
C 2.3434 -0.3443 3.1119
C 1.4004 -0.6570 4.1209
C 1.6871 -0.5619 5.4615
C -4.2709 -0.9424 -4.3090
C -0.6415 2.6292 0.1052
C 4.7725 0.4930 7.0672
C 0.0823 -2.3045 -0.8796
C -5.0834 -2.0966 -3.7781
C -3.3168 0.1954 -6.1852
C -2.9854 1.0764 -3.9517
C 0.9721 -1.4364 -0.2720
C 1.8972 -0.2090 1.6800
C -0.6436 -3.2268 -0.0903
C -3.7512 0.0143 -3.4404
C 2.9873 -0.2022 5.8301
C 1.1245 -1.3709 1.1330
C -4.0519 -0.8777 -5.6857
H 6.0748 -0.2691 5.4997
H -3.2817 -5.0636 -0.6646
H 0.3968 -0.9765 3.8292
H -1.9296 2.8113 -3.5395
H -3.0497 -4.1437 0.8580
H 2.0944 2.8745 -1.4961
H 3.3386 4.0714 0.7026
H 4.8245 1.5084 7.4801
H -0.7853 -4.1704 1.8693
H 1.7503 3.2716 2.3457
H 0.7225 1.1658 -0.7100
H -0.1049 -2.2623 -1.9472
H -2.0102 -5.5665 0.4954
H -0.5656 3.6444 0.5363
H -2.2781 2.0373 -5.7675
H 0.9462 -0.7342 6.2447
H 2.7166 0.0439 0.9983
H -3.9095 -0.0867 -2.3732
H 5.3427 -0.1779 7.7187
H 0.5091 1.4705 2.0310
H 1.5747 -0.7773 -0.8999
H 4.4934 -0.0340 2.7731
H 3.7489 2.4415 0.1564
H 3.0733 2.0862 2.4778
H 0.9012 -2.7146 2.8810
H -1.1678 3.6273 -1.7219
H 1.3011 4.0715 -0.4784
H -4.4516 -1.6381 -6.3535
H 5.5870 1.4184 5.2710
H -1.2932 2.0302 0.7555
```

***

# 3
ORCA calculation (wB97M-V/def2-TZVPD) on a 2-piece molecular cluster, C5H12NO overall at a distorted geometry.

* HOMO-LUMO gap: 8.9 eV
* LUMO level: -5.0 eV
• The molecular data stop here:

During her first term, she said, she has focused on affordability, equity, sustainability and quality of life – all of which defined her initial campaign.

## Attached: calculated molecules
- - -
# 1
{"formula": "C4H4N4", "method": "ωB97M-V/def2-TZVPD", "total_energy_ev": -10167.411, "homo_energy_ev": -9.70, "lumo_energy_ev": -1.3, "de_lowest_kj_mol": 523.6, "smiles": "[H]/N=c1\\cnnccn1", "homo_lumo_gap_ev": 8.36, "species": ["H", "N", "C", "C", "N", "N", "C", "C", "N", "H", "H", "H"], "coordinates": [[0.783, 0.118, 2.720], [-0.119, -0.485, 2.276], [0.072, -0.431, 0.976], [1.281, 0.357, 0.416], [1.297, 1.054, -0.574], [0.162, 1.269, -1.293], [-0.917, 0.385, -1.357], [-1.216, -0.917, -0.838], [-0.620, -1.232, 0.255], [2.156, 0.335, 0.929], [-1.707, 0.629, -1.823], [-1.583, -1.688, -1.657]]}

---

# 2
- - -

“My approach to government is to endorse policies and form partnerships that support equity, inclusivity and well-being, and that keep government responsive and transparent,” Fraga said.

[Between two parts of the article: data records]
'''
[1]
{"formula": "C3H3Cl3O", "method": "ωB97M-V/def2-TZVPD", "elements": ["C", "C", "C", "O", "Cl", "Cl", "Cl", "H", "H", "H"], "positions_angstrom": [[0.660, -0.954, 0.434], [1.517, -0.022, -0.191], [-1.673, 0.367, -0.058], [0.546, -2.035, 0.808], [-3.051, -0.673, -0.413], [-1.734, 1.074, 1.554], [-1.380, 1.568, -1.242], [1.111, -0.030, -1.150], [2.584, -0.289, -0.082], [1.421, 0.994, 0.340]], "mulliken_charge": [0.53, -0.78, 0.10, -0.30, -0.16, -0.15, -0.14, 0.29, 0.34, 0.28], "energy_ev": -42770.9206, "homo_lumo_gap_ha": [0.2995, 0.2482], "total_charge": 0, "fmax_ha_per_bohr": 0.078, "homo_ev": [-8.2, -7.5], "spin_multiplicity": 1}

=====

[2]
'''

Fraga said she sees her second term as a chance to amplify the momentum, goodwill and expertise that she developed in her first three years, “and to work alongside of colleagues -elected and volunteer – to build on our accomplishments.”

Among those accomplishments are an ordinance that requires all single-stall bathrooms to be gender neutral, and adoption of a resolution advocated by residents and the Civil Rights Commission to observe Indigenous People’s Day in October.

“As a first-generation immigrant and as someone who has been involved hands-on, I have a good understanding of the needs of our vulnerable and under-served population,” she said. She added that she uses that perspective in applying an “equity lens” to all policies that the council considers.

Fraga said she is eager to continue to work together with her colleagues on Princeton Council to ensure the town lives up to its potential as a “standout community” and an ideal place to start a family, open a business, buy a home or to retire.

Shaw, who is making her first run for elected office, said that town leadership has an important role in the management of the municipality. It has a direct impact on the quality of life of the residents, she said.

“We are experiencing a period of growth in Princeton’s history that requires visionary management,” Shaw said. The impact of that growth is far-reaching – from the environment to infrastructure, public schools, taxes and social services.

Shaw’s three-point platform focuses on managing economic development; communication and inclusivity; and support for the Princeton Public Schools.

Shaw’s economic development platform calls for improving the town’s collaboration with Princeton University; promoting “creative” economic development to lower the residential property tax burden; and to encourage residents to patronize local businesses.

She also seeks to clearly communicate plans, ideas, policies and opportunities to the community through diverse platforms and languages, and to promote racial and cultural literacy, inclusion and diversity throughout the municipal government “to better understand and serve everyone in our community.”

Shaw also wants to bridge the gap between municipal government and the public school system. Moving toward a more collaborative relationship with the Princeton Public Schools would strengthen the town, she said.

Reporting that 12 percent of the students in the public schools qualify for free or reduced price lunches, Shaw said that “we need a specific advocate to support these students and their families.”

“I accomplish goals by working to understand the issues, identifying options, building constituencies and driving the best results for the community at large. Now, I am ready to apply my energy and skills as a member of the Princeton Council,” she said.